Biographical Memoirs: Napoleon A. Chagnon, Raymond B. Hames
Impediments to Peace: In Response to ‘The Evolution of Peace’ by Luke Glowacki (December 16, 2022), Raymond B. Hames
Ethnoarchaeological Studies of Riverine Fisheries and Butchery in Pakistani Punjab, William Belcher
Of Game Keepers, Opportunism, and Conservation, Raymond Hames
Exploring Inequality at Copan, Honduras: A 2D and 3D Geospatial Comparison of Household Wealth, Heather Richards-Rissetto
Multisensory Experiences in Archaeological Landscapes—Sound, Vision, and Movement in GIS and Virtual Reality, Heather Richards-Rissetto, Kristy Primeau, David E. Witt, and Graham Goodwin
Accessing 3D Data, Francesca Albrezzi, John Bonnett, Tassie Gniady, Heather Richards-Rissetto, and Lisa Snyder
Exploring 3D Data Reuse and Repurposing through Procedural Modeling, Rachel Opitz, Heather Richards-Rissetto, Karin Dalziel, Jessica Dussault, and Greg Tunink
Ancient Lowland Maya neighborhoods: Average Nearest Neighbor analysis and kernel density models, environments, and urban scale, Amy E. Thompson, John P. Walden, Adrian S.Z. Chase, Scott R. Hutson, Damien B. Marken, Bernadette Cap, Eric C. Fries, M. Rodrigo Guzman Piedrasanta, Timothy S. Hare, Sherman W. Horn, George J. Micheletti, Shane M. Montgomery, Jessica Munson, Heather Richards-Rissetto, Kyle Shaw-Müller, Traci Ardren, Jaime J. Awe, M. Kathryn Brown, Michael Callaghan, Claire E. Ebert, Anabel Ford, Rafael A. Guerra, Julie A. Hoggarth, Brigitte Kovacevich, John M. Morris, Holley Moyes, Terry G. Powis, Jason Yaeger, Brett A. Houk, Keith M. Prufer, Arlen F. Chase, and Diane Z. Chase
Ancient Lowland Maya neighborhoods: Average Nearest Neighbor analysis and kernel density models, environments, and urban scale, Amy E. Thompson, John P. Walden, Adrian Z. Chase, Scott R. Hutson, Damien Marken, Bernadette Cap, Eric Fries, M. Rodrigo Guzman Piedrasanta, Timothy S. Hare, Sherman W. Horn III, George J. Micheletti, Shane M. Montgomery, Jessica Munson, Heather Richards-Rissetto, Kyle Shaw-Müller, Traci Ardren, Jaime J. Awe, M. Kathryn Brown, Michael Callaghan, Claire E. Ebert, Anabel Ford, Rafael A. Guerra, Julie A. Hoggarth, Brigitte Kovacevich, John M. Morris, Holley Moyes, Terry G. Powis, Jason Yaeger, Brett A. Houk, Keith M. Prufer, Arlen F. Chase, and Diane Z. Chase
Experiences in Archaeology, Social Justice, and Democratic Principles: the 2016-2019 Archaeological Field School at the University of Hawai'i West O'ahu, William Belcher, Suzanne Falgout, Joyce Chinen, Robert Kalani Carriera, and Johanna Fuller
The role of forensic anthropological techniques in identifying America's war dead from past conflicts, William Belcher, Calvin Y. Shiroma, Lesley A. Chesson, Gregory E. Berg, and Miranda Jans
The Role of Forensic Anthropological Techniques in Identifying America's War Dead from Past Conflicts, William Belcher, Calvin Y. Shiroma, Lesley A. Chesson, Gregory E. Berg, and Miranda Jans
Multi-agent scavenging patterns in Hawai‘i: A forensic archaeological and skeletal case study, Jennifer F. Byrnes and William Belcher
Modelling Acoustics in Ancient Maya Cities: Moving Towards a Synesthetic Experience Using GIS & 3D Simulation, Graham Goodwin and Heather Richards-Rissetto
To Influence?: Exploring the Socio-ecology of Zoo-morphic Imagery on the Northern Colorado Plateau, Ralph J. Hartley
Case report: Digital restoration of fragmented non-human skull, Gargi Jani, Abraham Johnson, and William Belcher
Understanding Technology Fit Among People with HIV Based on Intersections of Race, Sex, and Sexual Behavior: An Equitable Approach to Analyzing Differences Across Multiple Social Identities, Elizabeth Lockhart, DeAnne Turner, Joseph Ficek, Taylor A. Livingston, Rachel G. Logan, and Stephanie L. Marhefka
Modesty and Security: Attributes Associated with Comfort and Willingness to Engage in Telelactation, Adetola F. Louis-Jacques, Ellen J. Schafer, Taylor A. Livingston, Rachel G. Logan, and Stephanie L. Marhefka
TEACHING DIGITAL CULTURAL HERITAGE AND DIGITAL HUMANITIES THE CURRENT STATE AND PROSPECTS, Sander Münster, K Fritsche, Heather Richards-Rissetto, F Apollonio, B Aehnlich, V Schwartze, and R Smolarski
Cultural and reproductive success and the causes of war: A Yanomamö perspective, Raymond B. Hames
Aggregates, Formational Emergence, and the Focus on Practice in Stone Artifact Archaeology, Zeljko Rezek, Simon J. Holdaway, Deborah I. Olszewski, Sam C. Lin, Matthew J. Douglass, Shannon P. McPherron, Radu Iovita, David R. Braun, and Dennis Sandgathe
Fundamentals of qualitative analysis in family medicine, Wayne A. Babchuk
The piece is interrupted by data records:
{
  "formula": "C29H39BBrF4NOPZr",
  "method": "ωB97M-V/def2-TZVPD",
  "relative_energy_kj_mol": 21.1,
  "charge": 1,
  "lumo_energy_ev": -3.2,
  "orbital_gap_ev": 7.844,
  "total_energy_ev": -126405.2101,
  "species": ["C", "H", "H", "C", "H", "F", "H", "H", "C", "C", "H", "H", "H", "C", "Br", "C", "H", "H", "H", "F", "H", "N", "C", "H", "H", "C", "C", "H", "H", "C", "H", "C", "H", "C", "F", "H", "C", "H", "C", "H", "H", "H", "H", "H", "H", "H", "P", "H", "C", "B", "H", "F", "Zr", "C", "H", "H", "C", "C", "H", "C", "H", "H", "H", "C", "C", "H", "C", "C", "H", "C", "C", "C", "C", "C", "C", "H", "O", "H"],
A Least Cost Analysis: Correlative Modeling of the Chaco Regional Road System, Sean Field, Carrie Heitman, and Heather Richards-Rissetto
The Kaiparowits Puebloans: Kayentan or Virgin Branch Migrants?, Phil R. Geib
Pacifying Hunter-Gatherers, Raymond B. Hames
Scientific Integrity in the Forensic Sciences: Consumerism, Conflicts of Interest, and Transparency, Nicholas V. Passalacqua, Marin A. Pilloud, and William Belcher
Adaptation to Variable Environments, Resilience to Climate Change: Investigating Land, Water and Settlement in Indus Northwest India, Cameron A. Petrie, Ravindra N. Singh, Jennifer Bates, Yama Dixit, Charly A.I. French, David A. Hodell, Penelope J. Jones, Carla Lancelotti, Frank Lynam, Sayantani Neogi, Arun K. Pandey, Danika Parikh, Vikas Pawar, David I. Redhouse, and Dheerendra P. Singh
Digitally-Mediated Practices of Geospatial Archaeological Data: Transformation, Integration, & Interpretation, Heather Richards-Rissetto and Kristin Landau
Data management in anthropology: the next phase in ethics governance?, Igor Boog, J. Henrike Florusbosch, Zane Kripe, Tessa Minter, Peter Pels, Metje Postma, Margaret Sleeboom-Faulkner, Bob Simpson, Hansjörg Dilger, Michael Schönhuth, Anita von Poser, Rena Lederman, and Heather Richards-Rissetto
Rural Sense: Value, Heritage, and Sensory Landscapes: Developing a Design-oriented Approach to Mapping for Healthier Landscapes, Judith van der Elst, Heather Richards-Rissetto, and Lily Díaz-Kommonen
Web-based Archaeology and Collaborative Research, Fabrizio Galeazzi and Heather Richards-Rissetto
Constructing Rock Cairns: Modifying and Signifying the Alpine Landscape of Southeast Alaska, Ralph J. Hartley, Amanda Renner, and William J. Hunt Jr.
Using Virtual Reality and Photogrammetry to Enrich 3D Object Identity, Cole Juckette, Heather Richards-Rissetto, Hector Eluid Guerra Aldana, and Norman Martinez
Rural Sense: Value, Heritage, and Sensory Landscapes: Developing a Design-oriented Approach to Mapping for Healthier Landscapes, Judith van der Elst, Heather Richards-Rissetto, and Lily Díaz-Kommonen
Cross-cousin marriage among the Yanomamö shows evidence of parent–offspring conflict and mate competition between brothers, Napoleon A. Chagnon, Robert F. Lynch, Mary K. Shenk, Raymond Hames, and Mark V. Flinn
Major Fallacies Surrounding Stone Artifacts and Assemblages, Harold Dibble, Simon J. Holdaway, Sam C. Lin, David R. Braun, Matthew J. Douglass, Radu Iovita, Shannon P. McPherron, Deborah I. Olszewski, and Dennis Sandgathe
Continuity and Change in Puebloan Ritual Practice: 3,800 Years of Shrine Use in the North American Southwest, Phil R. Geib, Carrie Heitman, and Ronald C.D. Fields
Is Male Androphilia a Context-Dependent Cross-Cultural Universal?, Raymond B. Hames, Zachary H. Garfield, and Melissa J. Garfield
Innovation through Large-Scale Integration of Legacy Records: Assessing the “Value Added” in Cultural Heritage Resources, Carrie Heitman, Worthy Martin, and Stephen Plog
Estimating age of rock cairns in southeast Alaska by combining evidence from successional metrics, lichenometry, and carbon dating, Bruce McCune,; Nijmah Ali,; Ralph J. Hartley; and William J. Hunt Jr.
From Icon of Empire to National Emblem: New Evidence for the Fallow Deer of Barbuda, Sophia Perdikaris, Allison Bain, Sandrine Grouard, Karis Baker, Edith Gonzalez, A. Rus Hoelzel, Holly Miller, Reaksha Persaud, and Naomi Sykes
An iterative 3D GIS analysis of the role of visibility in ancient Maya landscapes: A case study from Copan, Honduras, Heather Richards-Rissetto
What can GIS + 3D mean for landscape archaeology?, Heather Richards-Rissetto
A Catch 22 of 3D Data Sustainability: Lessons in 3D Archaeological Data Management & Accessibility, Heather Richards-Rissetto and Jennifer von Schwerin
Changes in Male Hunting Returns, Raymond B. Hames
"A Mother for All the People": Feminist Science and Chacoan Archaeology, Carrie C. Heitman
Ohio Hopewell: Ancient Crossroads of the America Midwest, Carrie Heitman, William Parkinson, Krystal Britt, Jamie Kelly, Karin Dalziel, and Jessica Dussault
Maritime Alpine Cairns in Southeast Alaska: A Multidisciplinary Exploratory Study, William J. Hunt Jr., Ralph J. Hartley, Bruce McCune, Nijmah Ali, and Thomas F. Thornton
Paleoindians, Proboscideans, and Phytotoxins: Exploring the Feasibility of Poison Hunting during the Last Glacial-Interglacial Transition, Alan J. Osborn
The Baller biface cache: A possible Clovis site in Hitchcock County, Nebraska, Alan J. Osborn
3D Tool Evaluation and Workflow for an Ecological Approach to Visualizing Ancient Socio-environmental Landscapes: A Case Study from Copan, Honduras, Heather Richards-Rissetto, Shona Sanford-Long, and Jack Kerby-Miller
Chaco Landscapes: Data, Theory and Management, Ruth Van Dyke, Stephen Lekson, Carrie Heitman, and Julian Thomas
A Problematic Test of the Kin Selection Hypothesis Among the Urak-Lawoi of Ko Lipe, Thailand: Commentary on Camperio Ciani, Battaglia, and Liotta (2015), Paul L. Vasey, Doug P. VanderLaan, Raymond Hames, and Amornthep Jaidee
Airborne LiDAR acquisition, post-processing and accuracy-checking for a 3D WebGIS of Copan, Honduras, Jennifer von Schwerin, Heather Richards-Rissetto, Fabio Remondino, Maria Grazia Spera, Michael Auer, Nicolas Billen, Lukas Loos, Laura Stelson, and Markus Reindel
Kin Selection, Raymond Hames
Competition Expressed: Marking Places within Rural and Urban Landscapes, Ralph J. Hartley and Sharon L. Kennedy
The House of Our Ancestors: New Research on the Prehistory of Chaco Canyon, New Mexico, A.D. 800–1200, Carrie Heitman
The Relevance of Maize Pollen for Assessing the Extent of Maize Production in Chaco Canyon, Carrie C. Heitman and Phil R. Geib
Chaco Revisited: New Research on the Prehistory of Chaco Canyon, NM, Carrie Heitman and Stephen Plog
Multilevel Modeling Analysis of Dyadic Network Data With an Application to Ye’kwana Food Sharing, Jeremy Koster, George Leckie, Andrew Miller, and Raymond B. Hames
Procedural Modeling for Ancient Maya Cityscapes: Initial methodological challenges and solutions, Heather Richards-Rissetto and Rachel Plessing
"Fighting over a Shadow?": Hellenistic Greek Cities and Greco-Roman Cities as Fora and Media for Multi-Level Social Signaling, LuAnn Wandsnider
Water Resources and the Historic Wells of Barbuda: Tradition, Heritage and Hope for a Sustainable Future, Rebecca Boger, Sophia Perdikaris, Amy E. Potter, John Mussington, Reginald Murphy, Louise Thomas, Calvin Gore, and Dwight Finch
Diversity in Human Behavioral Ecology, Raymond B. Hames
Eye of the Needle: Cold Stress, Clothing, and Sewing Technology during the Younger Dryas Cold Event in North America, Alan J. Osborn
A Life History Perspective on Skin Cancer and the Evolution of Skin Pigmentation, Daniel L. Osborne and Raymond B. Hames
Movement as a means of social (re)production: Using GIS to measure social integration across urban landscapes, Heather Richards-Rissetto and Kristin Landau
The “female fertility–social stratification–hypergyny” hypothesis of male homosexual preference: factual, conceptual and methodological errors in Barthes et al. [Commentary], Doug P. VanderLaan, Zachary H. Garfield, Melissa J. Garfield, Jean-Baptiste Leca, Paul L. Vasey, and Raymond B. Hames
Attached: calculated molecules:
=====
1.
DFT (ωB97M-V/def2-TZVPD) results for a 7-piece molecular cluster, C19H54O7P overall.

XYZ file:
```
81
C19H54O7P | the OMol25 dataset | ωB97M-V/def2-TZVPD
C 3.56 2.92 -0.74
C 2.84 2.16 -1.89
C 3.00 3.06 -3.14
C 1.37 2.05 -1.47
C 0.45 1.38 -2.51
C 0.43 -0.15 -2.35
C -0.94 1.99 -2.29
O -1.99 1.19 -2.97
P -3.37 1.92 -2.76
H 4.63 3.02 -0.97
H 3.10 3.92 -0.72
H 3.39 2.45 0.24
H 3.34 1.18 -2.01
H 2.33 3.91 -2.98
H 4.02 3.46 -3.19
H 2.79 2.53 -4.08
H 0.99 3.07 -1.29
H 1.33 1.54 -0.50
H 0.73 1.60 -3.54
H 1.41 -0.52 -2.68
H 0.33 -0.46 -1.30
H -0.33 -0.62 -2.98
H -1.16 2.03 -1.21
H -0.95 3.00 -2.74
H -4.38 1.20 -3.44
H -3.75 1.88 -1.40
H -3.31 3.26 -3.18
C 5.91 -0.40 1.42
C 5.53 0.83 2.23
O 4.23 1.29 1.86
H 5.90 -0.17 0.35
H 6.91 -0.75 1.68
H 5.20 -1.21 1.58
H 6.23 1.64 2.04
H 5.54 0.60 3.30
H 3.61 0.57 2.03
C -7.66 4.35 -0.59
C -6.56 3.50 -1.21
O -7.05 2.75 -2.32
H -8.48 3.72 -0.26
H -7.28 4.92 0.26
H -8.07 5.04 -1.33
H -6.17 2.79 -0.48
H -5.73 4.14 -1.56
H -7.39 3.37 -2.97
C -9.28 0.55 -1.44
C -10.40 0.99 -0.51
O -11.07 2.13 -1.03
H -8.57 1.37 -1.58
H -8.75 -0.31 -1.04
H -9.67 0.29 -2.43
H -10.00 1.26 0.46
H -11.12 0.18 -0.37
H -11.44 1.88 -1.89
C 2.46 -3.32 -1.22
C 1.42 -3.84 -2.20
O 1.88 -3.67 -3.54
H 2.67 -2.27 -1.41
H 2.11 -3.44 -0.19
H 3.40 -3.87 -1.33
H 0.49 -3.28 -2.10
H 1.21 -4.89 -2.02
H 2.70 -4.17 -3.63
C 2.40 -6.63 2.91
C 1.72 -5.59 2.04
O 2.07 -5.77 0.67
H 3.49 -6.56 2.81
H 2.14 -6.49 3.96
H 2.11 -7.64 2.61
H 2.03 -4.59 2.33
H 0.63 -5.66 2.14
H 1.79 -6.65 0.41
C 5.86 -0.81 7.38
C 4.83 -1.30 6.38
O 5.30 -1.11 5.04
H 6.09 0.24 7.22
H 5.51 -0.94 8.41
H 6.80 -1.36 7.27
H 3.91 -0.73 6.48
H 4.61 -2.36 6.54
H 6.11 -1.62 4.95
```

The value obtained for the energy above the lowest of the compared OMol25 structures with the same formula, charge and spin is 0.0 kcal per mole. Its LUMO energy is -3.571 eV. The calculation puts the gap between HOMO and LUMO at 8.128 eV. The net charge is +1.



2.
DFT (ωB97M-V/def2-TZVPD) results for a 10-piece molecular cluster, C19H56F6O9P overall.

XYZ file:
```
91
C19H56F6O9P | the OMol25 dataset | ωB97M-V/def2-TZVPD
P 0.14 -0.24 -0.02
F -0.24 0.61 -1.32
F -1.11 0.53 0.70
F -0.84 -1.49 -0.42
F 0.42 -1.09 1.35
F 1.33 -0.98 -0.83
F 1.21 0.83 0.58
C 0.34 2.70 -4.19
C 0.80 4.08 -3.73
O -0.23 4.79 -3.07
H -0.13 2.20 -3.35
H 1.20 2.10 -4.53
H -0.41 2.72 -4.98
H 1.01 4.69 -4.61
H 1.72 4.00 -3.15
H -0.36 4.34 -2.21
C 4.27 0.38 2.82
C 4.25 -0.62 1.68
O 3.15 -1.50 1.84
H 5.10 1.10 2.77
H 4.32 -0.18 3.76
H 3.31 0.90 2.89
H 5.13 -1.26 1.66
H 4.22 -0.09 0.72
H 2.32 -1.00 1.79
O 0.73 -3.94 -0.20
H -0.01 -4.04 0.41
H 0.87 -2.99 -0.20
O 3.13 -3.39 -1.95
H 3.62 -3.46 -2.78
H 2.95 -2.45 -1.85
C -0.78 3.85 1.87
C -1.48 3.84 0.52
C -2.20 5.15 0.26
O -0.53 3.57 -0.51
H -0.18 2.96 2.10
H -1.50 3.96 2.69
H -0.04 4.66 1.95
H -2.24 3.06 0.56
H -1.52 5.97 0.02
H -2.84 5.48 1.08
H -2.77 5.05 -0.67
H -0.17 2.71 -0.28
C -2.30 -4.21 3.74
C -1.19 -3.98 2.71
C 0.21 -4.06 3.31
O -1.30 -4.99 1.69
H -3.28 -4.25 3.24
H -2.38 -3.34 4.39
=====
Sedentism, Social Change, Warfare, and the Bow in the Ancient Pueblo Southwest, Paul F. Reed and Phil R. Geib
From Mounds to Maps to Models: Visualizing Ancient Architecture Across Landscapes, Heather Richards-Rissetto
Geospatial Virtual Heritage: A Gesture-Based 3D GIS to Engage the Public with Ancient Maya Archaeology, Heather Richards-Rissetto, Jim Robertsson, Jennifer von Schwerin, Giorgio Agugario, Fabio Remondino, and Gabrio Girardi
The MayaArch3D project: A 3D WebGIS for analyzing ancient architecture and landscapes, Jennifer von Schwerin, Heather Richards-Rissetto, Fabio Remondino, Giorgio Agugario, and Gabrio Girardi
Public Buildings and Civic Benefactions in Western Rough Cilicia: insights from signaling theory, LuAnn Wandsnider
Sex differences in spatial abilities: Methodological problems in Hoffman et al., Drew A.H. Bailey, Richard A. Lippa, Marco Del Giudice, Raymond Hames, and Dave C. Geary
Anthropological Data Regarding the Adaptiveness of Hebephilia, Raymond B. Hames and Ray Blanchard
Signifying the Place of Unforgettable Memory: Atrocity and Trauma in a Post-Conflict Landscape, Ralph J. Hartley
Binford, Lewis R., Alan J. Osborn
Body size and pubertal development explain ethnic differences in structural geometry at the femur in Asian, Hispanic, and white early adolescent girls living in the U.S., Daniel L. Osborne, C.M. Weaver, L.D. McCabe, G.P. McCabe, R. Novotny, M.D. Van Loan, S. Going, V. Matkovic, C.J. Boushey, and D.A. Savaiano
Social Interaction at the Maya Site of Copan, Honduras: A Least Cost Approach to Configurational Analysis, Heather Richards-Rissetto
Kinect and 3D GIS in archaeology, Heather Richards-Rissetto, Fabio Remondino, Jim Robersson, Jennifer von Schwerin, Giorgio Agugiaro, and Gabrio Girardi
A Survey of Non-Classical Polyandry, Kathrine E. Starkweather and Raymond Hames
A WEB-BASED INTERACTIVE TOOL FOR MULTI-RESOLUTION 3D MODELS OF A MAYA ARCHAEOLOGICAL SITE, G. Agugiaro, Fabio Remondino, Gabrio Girardi, Jennifer von Schwerin, H. Richards-Rissetto, and Raffaele de Amicis
Review of Fauvel. The First Archaeologist in Athens and his Philhellenic Correspondents, by C. W. Clairmont, Effie Athanassopoulos
Cordage, Textiles, and the Late Pleistocene Peopling of the Andes, Edward A. Jolie, Thomas F. Lynch, Phil R. Geib, and J. M. Adovasio
Statement on the Publication of Alice Dreger’s Investigation, “Darkness’s Descent on the American Anthropological Association: A Cautionary Tale”, Jane B. Lancaster and Raymond B. Hames
In Memoriam: Lewis R. Binford, 1931-2011, Alan J. Osborn
Tanning Predicts Bone Mass but Not Structure in Adolescent Females Living in Hawaii, Daniel L. Osborne, Connie M. Weaver, Linda D. McCabe, George P. McCabe, Rachel Novotny, Carol Boushey, and Dennis A. Savaiano
Production decisions and time allocation: a guide to data collection, Raymond B. Hames
Time Diary versus Instantaneous Sampling: A Comparison of Two Behavioral Research Methods, Michael Paolisso and Raymond B. Hames
Hierarchy and Social Inequality in the American Southwest, A.D. 800-1200, Stephen Plog and Carrie Heitman
Life in the Truck Lane: Urban Development in Western Rough Cilicia, Nicholas K. Rauh, Rhys F. Townsend, Michael C. Hoff, Matthew Dillon, Martin W. Doyle, Cheryl A. Ward, Richard M. Rothaus, Hülya Caner, Ünal Akkemik, LuAnn Wandsnider, F. Sancar Ozaner, and Christopher D. Dore
Age Discrepancies with the Radiocarbon Dating of Sagebrush (Artemisia tridentata Nutt.)., Phil R. Geib
The Role of Basketry in Early Holocene Small Seed Exploitation: Implications of a ca. 9,000 Year-Old Basket from Cowboy Cave, Utah, Phil R. Geib and Edward A. Jolie
A pilot study into the effects of X-ray and computed tomography exposure on the amplification of DNA from bone, Britta M. Grieshaber, Daniel L. Osborne, Alison F. Doubleday, and Frederika A. Kaestle